Disclaimer: I own nothing that belongs to Disney, not these characters, not even a pair of Mickey Mouse ears. Really. I do own the character of Grand-mama. But you can have her if you want.

This story is the seed that grew into a behemoth of a story that I'm working on now, called "So Much to Learn". It was born fully formed one night while I was admiring the awesome stars I had just had painted on my bedroom ceiling. Sleeping in my master bedroom now is just like sleeping outside, only with central heating/air conditioning, and no mosquitoes. Comfort and inspiration all in one place--what could be better? But I digress. This is my first publicly offered fanfic. Polite comments and criticism and adoration are welcomed.


Elizabeth itched. She itched everywhere—her scalp, her arms, her legs, around her waist where the stiff woolen pants rubbed against her skin, and other places she tried not to think about because scratching there just made it worse. She gave up trying to sleep and sat up carefully, making sure she did not bump her head. She crawled out from under the steps, pushing the canvas curtain aside. When she was sure she was well away from the stairs, she stood up and walked out onto the deck. It was a clear, moonless night and every star in the black Caribbean sky was ablaze. As she studied the sky the ship's watch bell rang 2 o'clock in the morning. It was going to be a long and itchy night.

She walked over to the base of the mainmast and sat down with her back against it, stretched out her legs and looked at her feet. She was slightly surprised to even be able to see them because she knew that they were nearly as black as the deck upon which she sat. Most likely so was her face, although she did not know for certain because she had not been near a mirror in weeks. She made a half-hearted attempt to run a hand through her hair, but pulled it back before she hit the mass of matted tangles that started at the back of her head. She cringed at the greasiness of the hair where she touched it. Elizabeth was disgusted. She had never before gone more than a few days without a bath in her entire life. She had lost count of the days she had spent on the ship, but she knew it had been several weeks since she had so much as had a chance to wash her face properly. She reminded herself yet again to never leave home without soap, a face flannel and a good comb.

She leaned back and looked up at the stars. The glorious tropical night sky glittered above her like shards of crystal on black horsehair. Elizabeth was suddenly taken back to a scene from her childhood that seemed so distant and long ago that it could have been a story from a book.

Elizabeth was nine years old. Her mother had been dead for three years. Every summer her father took Elizabeth away from London on holiday to visit her maternal grandmother who lived in the countryside not far from Burton-Upon-Trent. Grand-mama was a stern woman. Her house was immaculate because her servants lived in fear of her reaction if she ever found even a speck of dirt they had missed. She had room after room of furniture that never saw visitors because it was "too good to use", and fragile gee-gaws everywhere.

During this particular visit, Elizabeth had been left to her own devices while Grand-mama and her father discussed whatever it was that adults talked about. Elizabeth had been reading a book about pirates before they had left home, but Father had not allowed her to bring along the book. She was not allowed to touch anything in Grand-mama's home, so she had nothing to do to amuse herself indoors. In fact, Grand-mama seemed quite oblivious to her presence. If forced to acknowledge her, Grand-mama often sniffed audibly as if something unpleasant was nearby.

Elizabeth wished she had the book she had been reading before they had come to Grand-mama's. She was entranced with the stories of the battles, and in her mind she fancied herself quite a swords woman. She ventured outside onto the perfectly manicured grounds, and found a piece of pruned tree branch, which transformed itself handily into a rapier in her nine year old hands. She tucked her skirts up into her petticoat waistband to free up her feet, and spent a happy hour or two fighting imaginary foes around Grand-mama's many gardens and ponds. It had begun to rain, so she had moved the battle indoors and continued it in one of Grand-mama's many unused parlors, far from where Grand-mama and her father sat talking.

She had been gleefully leaping from the sofa to a chair in pursuit of an invisible enemy when the slippery horsehair upholstery on the sofa tripped her up. Tree branch sword still gripped tightly, she threw her hands out to keep from falling teeth first into the corner of Grand-mama's lacquered Chinese cabinet. The stick in her hand caught a small cut crystal bowl that sat atop the cabinet. It slammed it into the wall and shattered loudly into thousands of pieces which scattered themselves over the black horsehair upholstery.

In only seconds, Grand-mama stormed into the parlor, followed closely by her father and several of the maids. Grand-mama stopped just inside the door to survey the damage. There were dirty footprints on the upholstery of every seat in the room. The rugs were all wrinkled and shoved aside, the curtains were awry, there were handprints on all the highly polished furniture, and the crystal dish was entirely beyond repair. Elizabeth stood in the center of the room with the stick held in her hands behind her. Her shoes were filthy, her skirts were still tucked up to one side in the waistband of her petticoats and there was mud all round the hems.

Unrelated to this article: calculated crystals =
<<<
Theoretical PXRD pattern of Rb2Ga3Sn4Au for Cu Kα, from a crystal structure in Alexandria, relaxed with PBE.
Peak positions follow from Bragg's law for the DFT cell and can differ from measured ones.

Structural model:
a = 4.931 Å, b = 4.931 Å, c = 11.665 Å
α = 90.00°, β = 90.00°, γ = 90.00°
Space group P-4m2 (No. 115)
Inequivalent atoms, fractional coordinates:
Rb  0.000  0.500  0.243 [2 per cell]
Ga  0.000  0.000  0.000 [1 per cell]
Ga  0.000  0.500  0.636 [2 per cell]
Sn  0.000  0.000  0.500 [1 per cell]
Sn  0.000  0.500  0.877 [2 per cell]
Sn  0.500  0.500  0.500 [1 per cell]
Au  0.500  0.500  0.000 [1 per cell]

Most intense lines, 10° ≤ 2θ ≤ 80°, in order of rising 2θ:
(0 0 2), 2θ 15.2, rel. 26.2
(1 0 3), 2θ 29.2, rel. 43.5
(1 1 2), 2θ 29.9, rel. 100.0
(2 0 0), 2θ 36.4, rel. 69.9
(1 1 4), 2θ 40.3, rel. 48.7
(2 1 3), 2θ 47.4, rel. 23.0
(2 2 0), 2θ 52.5, rel. 24.7
(3 1 2), 2θ 61.6, rel. 25.8

---

Theoretical PXRD pattern of Ti3V4Si2 for Cu Kα, from a crystal structure in Alexandria, relaxed with PBE.
Peak positions follow from Bragg's law for the DFT cell and can differ from measured ones.

Structural model:
a = 4.284 Å, b = 5.118 Å, c = 6.751 Å
α = 103.54°, β = 90.33°, γ = 114.72°
Space group P-1 (No. 2)
Inequivalent atoms, fractional coordinates:
Ti  0.000  0.000  0.000 [1 per cell]
Ti  0.439  0.885  0.667 [2 per cell]
V  0.113  0.233  0.645 [2 per cell]
V  0.322  0.646  0.978 [2 per cell]
Si  0.235  0.464  0.301 [2 per cell]

Most intense lines, 10° ≤ 2θ ≤ 80°, in order of rising 2θ:
(1 1 -2), 2θ 41.0, rel. 100.0
(1 -2 2), 2θ 41.1, rel. 98.9
(0 0 3), 2θ 41.6, rel. 90.7
(-1 2 1), 2θ 42.0, rel. 98.8
(1 1 1), 2θ 42.1, rel. 97.6
(2 -1 0), 2θ 42.2, rel. 99.7
(0 3 -1), 2θ 59.7, rel. 29.7
(2 -1 3), 2θ 60.9, rel. 28.8

---

Theoretical PXRD pattern of Al2NO for Cu Kα, from a crystal structure in Alexandria, relaxed with PBE.
Peak positions follow from Bragg's law for the DFT cell and can differ from measured ones.

Structural model:
a = 3.146 Å, b = 3.146 Å, c = 4.441 Å
α = 90.00°, β = 90.00°, γ = 90.00°
Space group P-4m2 (No. 115)
Inequivalent atoms, fractional coordinates:
Al  0.000  0.500  0.244 [2 per cell]
N  0.500  0.500  0.000 [1 per cell]
O  0.000  0.000  0.500 [1 per cell]

Most intense lines, 10° ≤ 2θ ≤ 80°, in order of rising 2θ:
(1 0 1), 2θ 35.0, rel. 100.0
(1 1 0), 2θ 40.6, rel. 8.0
(2 0 0), 2θ 58.7, rel. 51.3
(2 1 1), 2θ 70.2, rel. 33.3
(2 0 2), 2θ 73.8, rel. 2.9

---

Theoretical PXRD pattern of Ba3Pa2Pt2O5 for Cu Kα, from a crystal structure in Alexandria, relaxed with PBE.
Peak positions follow from Bragg's law for the DFT cell and can differ from measured ones.

Structural model:
a = 4.449 Å, b = 4.449 Å, c = 26.955 Å
α = 90.00°, β = 90.00°, γ = 90.00°
Space group I4/mmm (No. 139)
Inequivalent atoms, fractional coordinates:
Ba  0.000  0.000  0.000 [2 per cell]
Ba  0.000  0.000  0.191 [4 per cell]
Pa  0.000  0.000  0.418 [4 per cell]
Pt  0.000  0.000  0.317 [4 per cell]
O  0.000  0.000  0.500 [2 per cell]
>>>
The calculated crystals stop here =

Her father spoke first. "Elizabeth, are you hurt?" Elizabeth only shook her head mutely.

Grand-mama's voice sounded like far away thunder on the horizon, and it grew louder with each question. "Elizabeth Swann, what is that in your hand? What are you doing with that filthy stick in my house? What have you done to your dress, girl? What happened to my grandmother's crystal dish? That was the only remnant of her few belongings to pass to me, and now it's ruined! What did you do to my lovely furniture? Where did all this dirt come from? WHY did you bring a stick into the house? Answer me!"

Elizabeth stared her straight in the eye and replied simply "I was playing swords and pirates, Grand-mama."

Grand-mama blanched, and turned to Elizabeth's father. "Oh, my stars! Weatherby, you're raising my granddaughter to be a hooligan! It's a blessedly good thing Anne can't see the way she's turning out, or she'd be spinning in her grave. Why can't you be a proper father and raise her up to be a lady instead of a… a PIRATE!?"

Weatherby looked a bit queasy. "She's just a child. There will be time for her to grow up soon enough. She's quite a spirited girl, and she has her own ideas about things."

It wasn't a very good answer, but it was the truth.

Grand-mama only hesitated a second. "Elizabeth, give me the stick". She held out her hand for it. Before Elizabeth could move, Grand-mama grabbed the stick away from her, gripped the hand that had held it and caned the back of it with the stick. Whack. "Ladies do not play in the mud." Whack. "Ladies do not climb on furniture." Whack. "Ladies do not break things belonging to other people." Whack. "Ladies do not fight with swords." Whack. "Ladies do not pretend to be pirates." She stopped then, broke the stick over her knee, and threw it to the floor. Then she turned on Weatherby again. She failed to notice that Elizabeth did not cry.

"Weatherby Swann, you are ruining your child with leniency. You must put a stop to this foolish imagination nonsense and force some sense into her very soon. Otherwise, your daughter will grow up to be a wild and undisciplined woman full of… of…. ideas... which will get her into trouble at every opportunity. Women like that cheapen themselves. They attract only perfidious and dishonest men. If you do not take action immediately, your only child will end up trying to live by her wits in a world of deceitful men. Unless she is very, very lucky, which is not likely, she will end up no better than a filthy pirate or a common strumpet."

Weatherby had noticed the look in Elizabeth's eyes as she stared at her grandmother. He was rightfully worried that Elizabeth would speak out. He quickly knelt by her, took her hand and examined it. Elizabeth took her reddened and rapidly swelling hand from him and said quietly "I'm fine, Father. May we please go home soon?" Her father agreed that it was indeed time to go home. He had a servant call for his carriage. When it came up, he politely bid his late wife's mother goodbye, boosted Elizabeth into the seat, and they drove off. Elizabeth said nothing. She had not understood every word Grand-mama had said, but she definitely understood that she had been insulted. And the caning….that was purely beyond belief. Elizabeth had never been hit before. She never saw her grandmother again before they left for Jamaica, and she did not miss her one bit. She had not thought of the woman even once since then...until tonight.

Elizabeth roused herself from her memories and looked again at the sparkling stars.

She caught motion out of the corner of her eye. Jack came out of his cabin and headed up the stairs toward the ship's wheel. He saw her on the deck below him and smiled, a leer in his grin. He toasted her with an imaginary bottle and grinned that lascivious grin again. Elizabeth shrugged her jacket tighter around herself, sending a new wave of itching across her back. She grimaced. It pained her to think that all these years later, maybe, just maybe, Grand-mama had been right.